# Exercise
Now echo the material underneath unchanged.
# Source
- - -
Run 1
The following is a DFT calculation (PBE) of a relaxed MgMnFe crystal.

Values from the calculation:
**Space group**: No. 187
**Total magnetic moment**: 4.4 μB per cell

abc: 4.252 4.252 2.650
angles: 90.00 90.00 120.00
Site moments in Bohr magnetons follow the coordinates.
Positions (direct):
Fe 0.000 0.000 0.834  1.83
Mg 0.667 0.333 0.334  -0.04
Mn 0.333 0.667 0.833  2.59

---

Run 2
The following is a DFT calculation (PBE) of a relaxed MgMnFe crystal.

Values from the calculation:
**Space group**: No. 63
**Total magnetic moment**: 7.5 μB per cell

abc: 2.782 4.346 7.103
angles: 90.00 101.29 90.00
Site moments in Bohr magnetons follow the coordinates.
Positions (direct):
Mg 0.938 0.250 0.876  -0.02
Mg 0.062 0.750 0.124  -0.02
Fe 0.367 0.750 0.733  1.72
Fe 0.633 0.250 0.267  1.72
Mn 0.734 0.750 0.468  1.97
Mn 0.266 0.250 0.532  1.97

---

Run 3
The following is a DFT calculation (PBE) of a relaxed MgMnFe crystal.

Values from the calculation:
**Space group**: No. 216
**Total magnetic moment**: 0.8 μB per cell

abc: 4.067 4.067 4.067
angles: 60.00 60.00 60.00
Site moments in Bohr magnetons follow the coordinates.
Positions (direct):
Fe 0.750 0.750 0.750  1.83
Mg 0.000 0.000 0.000  0.01
Mn 0.500 0.500 0.500  -2.54

---

Run 4
The following is a DFT calculation (PBE) of a relaxed MgMnFe crystal.

Values from the calculation:
**Space group**: No. 107
**Total magnetic moment**: 1.3 μB per cell

abc: 5.454 5.454 2.792
angles: 75.17 75.17 29.66
Site moments in Bohr magnetons follow the coordinates.
Positions (direct):
Fe 0.025 0.025 0.975  0.98
Mg 0.334 0.334 0.666  -0.01
Mn 0.640 0.640 0.360  0.30

---

Bottom line: run 4, by a margin of 53 meV/atom.

---

Run 1
The following is a DFT calculation (PBE) of a relaxed MgMn2Fe2 crystal.

Values from the calculation:
**Space group**: No. 139
**Total magnetic moment**: 2.1 μB per cell

abc: 3.818 3.818 5.321
angles: 68.98 68.98 90.00
Site moments in Bohr magnetons follow the coordinates.
Positions (direct):
Fe 0.616 0.616 0.768  -0.48
Fe 0.384 0.384 0.232  -0.48
Mn 0.750 0.250 0.500  1.51
Mn 0.250 0.750 0.500  1.51
Mg 0.000 0.000 0.000  -0.01

---

Run 2
The following is a DFT calculation (PBE) of a relaxed MgMn2Fe2 crystal.

Values from the calculation:
**Space group**: No. 127
**Total magnetic moment**: 0.0 μB per cell

abc: 6.900 6.900 2.530
angles: 90.00 90.00 90.00
Positions (direct):
Mn 0.664 0.836 0.500
Mn 0.164 0.664 0.500
Mn 0.336 0.164 0.500
Mn 0.836 0.336 0.500
Mg 0.500 0.500 0.000
Mg 0.000 0.000 0.000
Fe 0.376 0.876 0.000
Fe 0.876 0.624 0.000
Fe 0.124 0.376 0.000
Fe 0.624 0.124 0.000

---

Bottom line: run 2, by a margin of 41 meV/atom.

---

Run 1
The following is a DFT calculation (PBE) of a relaxed Mg14MnFe crystal.

Values from the calculation:
**Space group**: No. 187
**Total magnetic moment**: 6.2 μB per cell

abc: 6.224 6.224 9.962
angles: 90.00 90.00 120.00
Site moments in Bohr magnetons follow the coordinates.
Positions (direct):
Mg 0.501 0.001 0.500  -0.01
Mg 0.160 0.320 0.254  -0.01
Mg 0.680 0.840 0.254  -0.01
Mg 0.160 0.320 0.746  -0.01
Mg 0.499 0.501 0.000  -0.01
Mg 0.160 0.840 0.746  -0.01
Mg 0.667 0.333 0.248  0.01
Mg 0.999 0.499 0.500  -0.01
Mg 0.002 0.501 0.000  -0.01
Mg 0.501 0.499 0.500  -0.01
Mg 0.499 0.998 0.000  -0.01
Mg 0.160 0.840 0.254  -0.01
Mg 0.667 0.333 0.752  0.01
Mg 0.680 0.840 0.746  -0.01
Fe 0.000 0.000 0.500  2.70
Mn 0.000 0.000 0.000  3.71

---

Run 2
The following is a DFT calculation (PBE) of a relaxed Mg14MnFe crystal.

Values from the calculation:
**Space group**: No. 38
**Total magnetic moment**: 6.3 μB per cell

abc: 6.218 6.218 10.046
angles: 90.00 90.00 120.19
Site moments in Bohr magnetons follow the coordinates.
Positions (direct):
Mg 0.339 0.162 0.500  -0.02
Mg 0.835 0.165 0.000  0.00
Mg 0.165 0.340 0.729  -0.01
Mg 0.669 0.331 0.254  0.00
Mg 0.334 0.666 0.000  0.00
Mg 0.669 0.331 0.746  0.00
Mg 0.170 0.830 0.258  0.00
Mg 0.170 0.830 0.742  0.00
Mg 0.332 0.167 0.000  0.00
Mg 0.165 0.340 0.271  -0.01
- - -
# Result
Run 1
The following is a DFT calculation (PBE) of a relaxed MgMnFe crystal.

Values from the calculation:
**Space group**: No. 187
**Total magnetic moment**: 4.4 μB per cell

abc: 4.252 4.252 2.650
angles: 90.00 90.00 120.00
Site moments in Bohr magnetons follow the coordinates.
Positions (direct):
Fe 0.000 0.000 0.834  1.83
Mg 0.667 0.333 0.334  -0.04
Mn 0.333 0.667 0.833  2.59

---

Run 2
The following is a DFT calculation (PBE) of a relaxed MgMnFe crystal.

Values from the calculation:
**Space group**: No. 63
**Total magnetic moment**: 7.5 μB per cell

abc: 2.782 4.346 7.103
angles: 90.00 101.29 90.00
Site moments in Bohr magnetons follow the coordinates.
Positions (direct):
Mg 0.938 0.250 0.876  -0.02
Mg 0.062 0.750 0.124  -0.02
Fe 0.367 0.750 0.733  1.72
Fe 0.633 0.250 0.267  1.72
Mn 0.734 0.750 0.468  1.97
Mn 0.266 0.250 0.532  1.97

---

Run 3
The following is a DFT calculation (PBE) of a relaxed MgMnFe crystal.

Values from the calculation:
**Space group**: No. 216
**Total magnetic moment**: 0.8 μB per cell

abc: 4.067 4.067 4.067
angles: 60.00 60.00 60.00
Site moments in Bohr magnetons follow the coordinates.
Positions (direct):
Fe 0.750 0.750 0.750  1.83
Mg 0.000 0.000 0.000  0.01
Mn 0.500 0.500 0.500  -2.54

---

Run 4
The following is a DFT calculation (PBE) of a relaxed MgMnFe crystal.

Values from the calculation:
**Space group**: No. 107
**Total magnetic moment**: 1.3 μB per cell

abc: 5.454 5.454 2.792
angles: 75.17 75.17 29.66
Site moments in Bohr magnetons follow the coordinates.
Positions (direct):
Fe 0.025 0.025 0.975  0.98
Mg 0.334 0.334 0.666  -0.01
Mn 0.640 0.640 0.360  0.30

---

Bottom line: run 4, by a margin of 53 meV/atom.

---

Run 1
The following is a DFT calculation (PBE) of a relaxed MgMn2Fe2 crystal.

Values from the calculation:
**Space group**: No. 139
**Total magnetic moment**: 2.1 μB per cell

abc: 3.818 3.818 5.321
angles: 68.98 68.98 90.00
Site moments in Bohr magnetons follow the coordinates.
Positions (direct):
Fe 0.616 0.616 0.768  -0.48
Fe 0.384 0.384 0.232  -0.48
Mn 0.750 0.250 0.500  1.51
Mn 0.250 0.750 0.500  1.51
Mg 0.000 0.000 0.000  -0.01

---

Run 2
The following is a DFT calculation (PBE) of a relaxed MgMn2Fe2 crystal.

Values from the calculation:
**Space group**: No. 127
**Total magnetic moment**: 0.0 μB per cell

abc: 6.900 6.900 2.530
angles: 90.00 90.00 90.00
Positions (direct):
Mn 0.664 0.836 0.500
Mn 0.164 0.664 0.500
Mn 0.336 0.164 0.500
Mn 0.836 0.336 0.500
Mg 0.500 0.500 0.000
Mg 0.000 0.000 0.000
Fe 0.376 0.876 0.000
Fe 0.876 0.624 0.000
Fe 0.124 0.376 0.000
Fe 0.624 0.124 0.000

---

Bottom line: run 2, by a margin of 41 meV/atom.

---

Run 1
The following is a DFT calculation (PBE) of a relaxed Mg14MnFe crystal.

Values from the calculation:
**Space group**: No. 187
**Total magnetic moment**: 6.2 μB per cell

abc: 6.224 6.224 9.962
angles: 90.00 90.00 120.00
Site moments in Bohr magnetons follow the coordinates.
Positions (direct):
Mg 0.501 0.001 0.500  -0.01
Mg 0.160 0.320 0.254  -0.01
Mg 0.680 0.840 0.254  -0.01
Mg 0.160 0.320 0.746  -0.01
Mg 0.499 0.501 0.000  -0.01
Mg 0.160 0.840 0.746  -0.01
Mg 0.667 0.333 0.248  0.01
Mg 0.999 0.499 0.500  -0.01
Mg 0.002 0.501 0.000  -0.01
Mg 0.501 0.499 0.500  -0.01
Mg 0.499 0.998 0.000  -0.01
Mg 0.160 0.840 0.254  -0.01
Mg 0.667 0.333 0.752  0.01
Mg 0.680 0.840 0.746  -0.01
Fe 0.000 0.000 0.500  2.70
Mn 0.000 0.000 0.000  3.71

---

Run 2
The following is a DFT calculation (PBE) of a relaxed Mg14MnFe crystal.

Values from the calculation:
**Space group**: No. 38
**Total magnetic moment**: 6.3 μB per cell

abc: 6.218 6.218 10.046
angles: 90.00 90.00 120.19
Site moments in Bohr magnetons follow the coordinates.
Positions (direct):
Mg 0.339 0.162 0.500  -0.02
Mg 0.835 0.165 0.000  0.00
Mg 0.165 0.340 0.729  -0.01
Mg 0.669 0.331 0.254  0.00
Mg 0.334 0.666 0.000  0.00
Mg 0.669 0.331 0.746  0.00
Mg 0.170 0.830 0.258  0.00
Mg 0.170 0.830 0.742  0.00
Mg 0.332 0.167 0.000  0.00
Mg 0.165 0.340 0.271  -0.01